*A*
5
Properties=species:S:1:pos:R:3 method="wB97M-V/def2-TZVPD" homo_energy_ev="-9.3 / -9.0" orbital_gap_ev="8.7 / 8.6" lumo_ev="-0.646 / -0.348"
N 0.52 0.03 -1.10
F 1.58 0.38 -0.37
S -0.66 1.12 -0.79
H -0.01 -1.45 -0.07
H 0.09 1.66 0.24

***

*B*
5
Properties=species:S:1:pos:R:3 method="wB97M-V/def2-TZVPD" homo_energy_ev="-9.5 / -9.6" orbital_gap_ev="6.5 / 6.6" lumo_ev="-3.015 / -3.019"
N -1.47 0.09 0.09
F -2.25 1.16 0.23
S 1.17 1.21 -0.24
H -1.56 -0.37 -0.94
H 0.68 2.22 0.70

***

It is *A* that is the least stable of them.

***

*A*
17
Properties=species:S:1:pos:R:3 method="wB97M-V/def2-TZVPD" homo_energy_ev="-7.4 / -7.4" orbital_gap_ev="6.8 / 6.8" lumo_ev="-0.610 / -0.613"
C -1.03 -0.25 -0.13
C -1.54 0.81 -1.05
C 1.36 0.56 -0.12
C 0.36 -0.70 -0.03
N 2.48 0.39 0.73
N -1.89 -0.96 0.60
N 0.62 -1.87 0.38
O 1.49 1.15 -1.22
H 0.38 1.07 0.63
H 2.28 0.29 1.72
H 3.24 1.02 0.50
H -2.88 -0.82 0.52
H -1.51 -1.79 1.04
H 1.63 -2.05 0.36
H -2.52 1.17 -0.73
H -1.65 0.37 -2.04
H -0.83 1.62 -1.15

***

*B*
17
Properties=species:S:1:pos:R:3 method="wB97M-V/def2-TZVPD" homo_energy_ev=-9.6 orbital_gap_ev=10.4 lumo_ev=0.769 smiles="[H]/N=C/[C@@H](N)[C@@H](N)C=O"
H -2.73 1.69 0.84
N -2.06 1.63 0.06
C -1.04 0.92 0.40
C 0.12 0.70 -0.55
N 1.19 1.65 -0.20
C 0.63 -0.76 -0.50
N 1.38 -1.08 0.75
C -0.54 -1.72 -0.68
O -0.89 -2.53 0.18
H -0.98 0.49 1.42
H -0.22 0.93 -1.57
H 0.77 2.56 0.03
H 1.66 1.31 0.64
H 1.32 -0.93 -1.34
H 0.71 -1.16 1.52
H 1.73 -2.04 0.65
H -1.07 -1.66 -1.64

***

It is *A* that is the least stable of them.

***

*A*
17
Properties=species:S:1:pos:R:3 method="wB97M-V/def2-TZVPD" homo_energy_ev=-9.5 orbital_gap_ev=10.2 lumo_ev=0.795 smiles="[H]/N=C(/N)[C@H](C)NC=O"
H 0.88 -1.32 1.50
N 1.57 -0.62 1.20
C 1.06 0.25 0.41
N 1.86 1.20 -0.14
C -0.52 0.32 0.10
C -1.31 0.31 1.40
N -0.89 -0.83 -0.71
C -0.46 -0.75 -2.01
O -0.10 -1.74 -2.64
H 1.62 1.52 -1.07
H 2.85 1.00 -0.01
H -0.72 1.25 -0.45
H -1.17 -0.62 1.95
H -1.00 1.14 2.05
H -2.38 0.40 1.20
H -0.78 -1.76 -0.31
H -0.52 0.26 -2.46

***

*B*
17
Properties=species:S:1:pos:R:3 method="wB97M-V/def2-TZVPD" homo_energy_ev=-8.3 orbital_gap_ev=8.9 lumo_ev=0.607
H -3.37 1.65 -0.96
N -3.30 0.72 -0.58
C -2.11 0.37 -0.28
N -0.97 1.14 -0.45
N -1.91 -0.93 0.13
C -0.76 -1.37 0.87
H -0.16 0.92 0.10
H -1.13 2.12 -0.59
H -2.79 -1.38 0.33
H -0.62 -0.83 1.82
H 0.14 -1.27 0.27
H -0.89 -2.43 1.11
C 4.01 0.12 -0.62
C 2.94 0.45 0.03
O 1.98 0.75 0.61
H 4.07 0.25 -1.68
H 4.86 -0.29 -0.11

***

It is *B* that is the least stable of them.

***

*A*
8
Properties=species:S:1:pos:R:3 method="wB97M-V/def2-TZVPD" homo_energy_ev="-7.6 / -7.6" orbital_gap_ev="7.2 / 7.2" lumo_ev="-0.455 / -0.454"
C 0.14 0.60 0.17
C -1.19 -0.02 0.15
O 0.93 1.39 0.44
O 1.72 -0.96 -0.83
I 3.26 -0.23 -0.05
H -1.55 -0.28 -0.87
H -1.23 -1.06 0.58
H -2.08 0.56 0.42

***

*B*
8
Properties=species:S:1:pos:R:3 method="wB97M-V/def2-TZVPD" homo_energy_ev=-9.4 orbital_gap_ev=9.0 lumo_ev=-0.448 smiles="CC(=O)OI"
C -1.07 0.16 0.14
C 0.20 -0.56 -0.06
O 0.58 -1.67 -0.19
O 1.21 0.58 -0.22
I 3.13 0.23 -0.05
H -1.48 0.31 -0.83
H -1.84 -0.27 0.81
H -0.71 1.23 0.40

***

It is *A* that is the least stable of them.

***

*A*
13
Properties=species:S:1:pos:R:3 method="wB97M-V/def2-TZVPD" homo_energy_ev=-9.0 orbital_gap_ev=9.9 lumo_ev=0.838 smiles=C[C@H](S)CO
C -1.37 -0.77 -0.23
C -0.50 0.18 0.46
S -0.62 1.96 -0.01
C 1.03 -0.28 0.18
O 1.95 0.68 -0.10
H -1.33 -1.73 0.26
H -2.26 -0.27 -0.44
H -0.94 -0.86 -1.24
H -0.65 -0.01 1.49
H 0.67 2.11 0.31
H 1.31 -0.84 1.02
H 0.85 -1.01 -0.66
H 1.86 0.85 -1.04

***

*B*
13
Properties=species:S:1:pos:R:3 method="wB97M-V/def2-TZVPD" homo_energy_ev=-8.8 orbital_gap_ev=9.7 lumo_ev=0.895 smiles="C=CO.CS"
C 0.05 0.82 1.45
C 0.46 0.93 2.73
O 0.08 -0.10 3.56
H 0.31 1.60 0.83
H -0.71 0.27 0.88
H 0.96 1.75 3.05
H 0.67 -0.20 4.33
C 0.17 -0.75 -2.81
S -1.43 -0.72 -2.15
H 0.30 -0.03 -3.63
H 0.93 -0.49 -2.12
H 0.54 -1.77 -3.20
H -2.33 -1.31 -2.92

***

It is *B* that is the least stable of them.

***

*A*
13
Next, say how many lines of the notes earlier on hold the word "CC", as a bare number.
1